### Material
The following is a quantum chemistry calculation of a molecular structure, CH4OS2 in a non-equilibrium geometry, from the OMol25 dataset.

```
8
Properties=species:S:1:pos:R:3:forces:R:3:lowdin_charge:R:1
C -0.358 -0.089 0.227 -0.7 -0.6 0.7 -0.630
O -0.504 -1.258 -0.294 -0.4 3.3 1.1 -0.680
S -1.709 1.194 0.296 0.9 -2.4 -1.6 0.789
S 0.699 -2.475 -0.289 0.4 0.2 0.0 0.458
H 0.546 0.243 0.841 -1.2 -1.1 -0.8 0.092
H 1.007 0.650 -1.008 0.9 -0.5 -0.6 0.057
H -1.220 1.621 1.414 0.5 0.6 1.2 -0.169
H 1.540 0.114 -1.187 -0.5 0.5 0.0 0.085
```
Forces are in eV/Å.


The following is a quantum chemistry calculation of a molecular structure, CH4OTl in a non-equilibrium geometry, from the OMol25 dataset.

```
7
Properties=species:S:1:pos:R:3:forces:R:3:lowdin_charge:R:1
Tl 2.524 1.793 3.567 0.4 0.3 0.6 1.394
C -0.664 -0.505 -0.432 3.8 4.9 -5.8 0.267
O 0.502 0.344 -0.453 -4.0 -3.7 2.7 0.429
H -1.075 -0.509 -1.441 -0.2 -0.2 -0.2 0.174
H -0.436 -1.527 -0.127 0.6 -2.4 2.1 0.270
H -1.462 -0.214 0.252 -1.2 0.1 2.8 0.260

### Job
Could you find "0.2 0.0" and "1.540 0.114" in the rows further above, and repeat these two lines and those between?

### Result
S 0.699 -2.475 -0.289 0.4 0.2 0.0 0.458
H 0.546 0.243 0.841 -1.2 -1.1 -0.8 0.092
H 1.007 0.650 -1.008 0.9 -0.5 -0.6 0.057
H -1.220 1.621 1.414 0.5 0.6 1.2 -0.169
H 1.540 0.114 -1.187 -0.5 0.5 0.0 0.085